• File:
+++
Computed, not measured: a single C3H5N3O3 molecule, with the ωB97M-V functional and the def2-TZVPD basis.

Geometry (Å):
C: 0.64 -2.17 0.15
C: -0.60 1.22 0.22
C: 1.11 -0.03 -0.66
H: 1.48 -2.66 -0.51
H: -0.26 -2.90 0.24
H: 1.14 -2.34 1.21
H: -2.39 -0.32 -0.25
H: 2.72 -0.97 -1.03
N: 0.19 -0.88 -0.13
N: -0.74 -0.18 0.58
N: 2.33 0.03 -0.89
O: -2.03 -0.69 0.52
O: -1.29 2.15 0.56
O: 0.57 1.32 -0.43

The value obtained for the relative energy (zero: lowest compared OMol25 entry of this formula, charge and spin) is 101.8 kcal/mol. The lowest unoccupied orbital energy is 0.01405 hartree. The HOMO energy is -9.47 eV. For the HOMO-LUMO gap, the calculation gives 9.848 eV. The value obtained for the total energy is -13801.22342 eV.

Atomic partial charges in e from the natural (NBO) method, atoms 1 to 8: C -0.450; C 0.838; C 0.660; H 0.244; H 0.236; H 0.202; H 0.460; H 0.351
+++

• Job:
It remains to echo only the last part of the lines above, starting with the line that has "-0.26 -2.90".

• Worked solution:
H: -0.26 -2.90 0.24
H: 1.14 -2.34 1.21
H: -2.39 -0.32 -0.25
H: 2.72 -0.97 -1.03
N: 0.19 -0.88 -0.13
N: -0.74 -0.18 0.58
N: 2.33 0.03 -0.89
O: -2.03 -0.69 0.52
O: -1.29 2.15 0.56
O: 0.57 1.32 -0.43

The value obtained for the relative energy (zero: lowest compared OMol25 entry of this formula, charge and spin) is 101.8 kcal/mol. The lowest unoccupied orbital energy is 0.01405 hartree. The HOMO energy is -9.47 eV. For the HOMO-LUMO gap, the calculation gives 9.848 eV. The value obtained for the total energy is -13801.22342 eV.

Atomic partial charges in e from the natural (NBO) method, atoms 1 to 8: C -0.450; C 0.838; C 0.660; H 0.244; H 0.236; H 0.202; H 0.460; H 0.351